_Material_
- - -
3
Lattice="-1.478 3.103 -1.651 0.035 -2.481 -4.693 -4.255 -0.348 3.155" Properties=species:S:1:pos:R:3 comment="SmDyPb (PBE-GGA, optimized geometry)" dos_at_fermi_per_ev_fu=4.12 final_energy_ev_per_atom=-4.55 space_group="P3m1 (156)" magmom_total_mub_per_cell=0.000 de_polymorph_mev_per_atom=230 ef_ev_per_fu=-0.63 pbc="T T T"
Pb -2.432 0.406 -3.235
Sm -3.383 0.113 -0.085
Dy -1.361 2.857 -1.520

12
Lattice="-1.573 -0.816 4.333 4.282 -1.379 1.295 3.404 14.254 3.920" Properties=species:S:1:pos:R:3 comment="Pm2Sn9Pb (PBE-GGA, optimized geometry)" dos_at_fermi_per_ev_fu=5.74 final_energy_ev_per_atom=-4.40 space_group="P4/mmm (123)" magmom_total_mub_per_cell=0.000 ef_ev_per_fu=-3.55 pbc="T T T"
Pm 1.182 4.951 1.362
Pm 2.222 9.303 2.558
Sn 1.354 -1.097 2.814
Sn 2.490 3.656 4.121
Sn 3.624 8.403 5.427
Sn -0.201 2.044 2.841
Sn 0.916 6.719 4.127
Sn 2.032 11.394 5.412
Sn 2.727 1.763 1.322
Sn 3.843 6.438 2.608
Sn 4.960 11.112 3.893
Pb 0.000 0.000 0.000

18
Lattice="7.651 -0.918 -2.969 -4.498 6.764 -1.489 -0.252 0.918 8.203" Properties=species:S:1:pos:R:3 comment="Ce6Ni2Os (PBE-GGA, optimized geometry)" dos_at_fermi_per_ev_fu=19.58 final_energy_ev_per_atom=-6.62 space_group="Immm (71)" magmom_total_mub_per_cell=0.000 ef_ev_per_fu=-1.18 pbc="T T T"
Ce 0.559 4.919 4.199
Ce 2.343 1.845 -0.454
Ce -0.604 2.763 5.843
Ce 3.506 4.001 -2.097
Ce 2.619 5.067 1.321
Ce 0.283 1.697 2.425
Ce -2.369 5.986 6.173
Ce 5.271 0.778 -2.428
Ce 3.679 2.519 2.647
Ce -0.777 4.245 1.098
Ce -2.251 6.629 3.182
Ce 5.153 0.135 0.564
Ni 2.101 2.585 4.877
Ni 0.800 4.179 -1.132
Ni 4.858 0.000 3.437
Ni 2.542 0.000 1.798
Os -2.375 3.841 3.357
Os 0.000 0.000 0.000
- - -

_Exercise_
Could you echo the material earlier on without altering anything?

_Outcome_
3
Lattice="-1.478 3.103 -1.651 0.035 -2.481 -4.693 -4.255 -0.348 3.155" Properties=species:S:1:pos:R:3 comment="SmDyPb (PBE-GGA, optimized geometry)" dos_at_fermi_per_ev_fu=4.12 final_energy_ev_per_atom=-4.55 space_group="P3m1 (156)" magmom_total_mub_per_cell=0.000 de_polymorph_mev_per_atom=230 ef_ev_per_fu=-0.63 pbc="T T T"
Pb -2.432 0.406 -3.235
Sm -3.383 0.113 -0.085
Dy -1.361 2.857 -1.520

12
Lattice="-1.573 -0.816 4.333 4.282 -1.379 1.295 3.404 14.254 3.920" Properties=species:S:1:pos:R:3 comment="Pm2Sn9Pb (PBE-GGA, optimized geometry)" dos_at_fermi_per_ev_fu=5.74 final_energy_ev_per_atom=-4.40 space_group="P4/mmm (123)" magmom_total_mub_per_cell=0.000 ef_ev_per_fu=-3.55 pbc="T T T"
Pm 1.182 4.951 1.362
Pm 2.222 9.303 2.558
Sn 1.354 -1.097 2.814
Sn 2.490 3.656 4.121
Sn 3.624 8.403 5.427
Sn -0.201 2.044 2.841
Sn 0.916 6.719 4.127
Sn 2.032 11.394 5.412
Sn 2.727 1.763 1.322
Sn 3.843 6.438 2.608
Sn 4.960 11.112 3.893
Pb 0.000 0.000 0.000

18
Lattice="7.651 -0.918 -2.969 -4.498 6.764 -1.489 -0.252 0.918 8.203" Properties=species:S:1:pos:R:3 comment="Ce6Ni2Os (PBE-GGA, optimized geometry)" dos_at_fermi_per_ev_fu=19.58 final_energy_ev_per_atom=-6.62 space_group="Immm (71)" magmom_total_mub_per_cell=0.000 ef_ev_per_fu=-1.18 pbc="T T T"
Ce 0.559 4.919 4.199
Ce 2.343 1.845 -0.454
Ce -0.604 2.763 5.843
Ce 3.506 4.001 -2.097
Ce 2.619 5.067 1.321
Ce 0.283 1.697 2.425
Ce -2.369 5.986 6.173
Ce 5.271 0.778 -2.428
Ce 3.679 2.519 2.647
Ce -0.777 4.245 1.098
Ce -2.251 6.629 3.182
Ce 5.153 0.135 0.564
Ni 2.101 2.585 4.877
Ni 0.800 4.179 -1.132
Ni 4.858 0.000 3.437
Ni 2.542 0.000 1.798
Os -2.375 3.841 3.357
Os 0.000 0.000 0.000